=====
Theoretical powder diffraction line list
Compound: Ti8P3C2
Radiation: a wavelength of 1.5418 Å
Structure: a DFT-relaxed cell (PBE, Alexandria)

Structural model:
```
13
Lattice="6.112 -3.042 0.000 6.112 3.042 0.000 -2.508 0.000 5.433" Properties=species:S:1:pos:R:3 pbc="T T T"
Ti 0.682 0.000 1.662
Ti 4.328 1.490 0.431
Ti 3.243 0.000 2.853
Ti 5.387 1.490 5.002
Ti 4.328 -1.490 0.431
Ti 6.473 0.000 2.580
Ti 5.387 -1.490 5.002
Ti 9.033 0.000 3.770
P 4.858 1.794 2.716
P 6.112 0.000 0.000
P 4.858 -1.794 2.716
C 2.759 0.000 0.722
C 6.957 0.000 4.711
```

The 8 most intense peaks (5 to 70 degrees two-theta), sorted by position:
2θ/deg, I/Imax
32.27, 49.7
32.98, 30.1
33.77, 48.5
34.34, 88.5
42.01, 100.0
42.76, 33.8
46.38, 34.5
52.35, 50.8

~~~~~

Entry 1:
Diffraction record for Ca2Cd3Ga2. The powder diffraction line list is simulated, not measured: it uses a structure optimized by DFT (GGA-PBE) and a wavelength of 1.5418 Å.
Neutral-atom scattering factors, no anomalous dispersion.

abc: 5.901 5.901 7.544
angles: 112.51 112.51 44.72
Fractional positions:
Ca  0.145  0.145  0.276
Ca  0.855  0.855  0.724
Cd  0.385  0.385  0.065
Cd  0.500  0.500  0.500
Cd  0.615  0.615  0.935
Ga  0.150  0.150  0.702
Ga  0.850  0.850  0.298

Main lines, by angle (10 to 90 degrees two-theta):
17.16 deg, I = 57
21.72 deg, I = 33
31.71 deg, I = 72
35.07 deg, I = 44
35.75 deg, I = 26
36.93 deg, I = 100
40.16 deg, I = 65
41.80 deg, I = 25



Entry 2:
Diffraction record for Ca3Cd3Ga8. The powder diffraction line list is simulated, not measured: it uses a structure optimized by DFT (GGA-PBE) and a wavelength of 1.5418 Å.
Neutral-atom scattering factors, no anomalous dispersion.

abc: 8.682 8.682 8.682
angles: 150.42 110.13 77.66
Fractional positions:
Ca  0.000  0.000  0.000
Ca  0.300  0.300  0.000
Ca  0.700  0.700  0.000
Cd  0.301  0.500  0.801
Cd  0.500  0.000  0.500
Cd  0.699  0.500  0.199
Ga  0.032  0.660  0.372
Ga  0.121  0.846  0.275
Ga  0.288  0.660  0.628
Ga  0.429  0.154  0.275
Ga  0.571  0.846  0.725
Ga  0.712  0.340  0.372
Ga  0.879  0.154  0.725
Ga  0.968  0.340  0.628

Main lines, by angle (10 to 90 degrees two-theta):
21.64 deg, I = 17
33.59 deg, I = 100
36.36 deg, I = 36
39.99 deg, I = 29
40.70 deg, I = 33
43.33 deg, I = 22
46.12 deg, I = 16
58.38 deg, I = 18



Entry 3:
Diffraction record for Ca6CdGa. The powder diffraction line list is simulated, not measured: it uses a structure optimized by DFT (GGA-PBE) and a wavelength of 1.5418 Å.
Neutral-atom scattering factors, no anomalous dispersion.

abc: 10.111 10.111 10.111
angles: 149.00 149.00 44.41
Fractional positions:
Ca  0.096  0.596  0.500
Ca  0.250  0.250  0.000
Ca  0.404  0.904  0.500
Ca  0.596  0.096  0.500
Ca  0.750  0.750  0.000
Ca  0.904  0.404  0.500
Cd  0.000  0.000  0.000
Ga  0.500  0.500  0.000

Main lines, by angle (10 to 90 degrees two-theta):
30.19 deg, I = 100
33.15 deg, I = 47
37.20 deg, I = 22
38.47 deg, I = 14
45.45 deg, I = 12
47.59 deg, I = 16
51.67 deg, I = 14
57.40 deg, I = 29



Entry 4:
Diffraction record for Ca2Cd3Ga. The powder diffraction line list is simulated, not measured: it uses a structure optimized by DFT (GGA-PBE) and a wavelength of 1.5418 Å.
Neutral-atom scattering factors, no anomalous dispersion.

abc: 9.201 9.201 9.201
angles: 156.05 149.18 39.41
Fractional positions:
Ca  0.000  0.000  0.000
Ca  0.768  0.268  0.500
Cd  0.177  0.677  0.500
Cd  0.340  0.840  0.500
Cd  0.598  0.598  0.000
Ga  0.445  0.445  0.000

Main lines, by angle (10 to 90 degrees two-theta):
18.86 deg, I = 53
23.86 deg, I = 56
31.47 deg, I = 100
31.65 deg, I = 43
34.97 deg, I = 36
36.76 deg, I = 43
40.87 deg, I = 36
43.43 deg, I = 45



Entry 5:
Diffraction record for Ca6Cd3Ga. The powder diffraction line list is simulated, not measured: it uses a structure optimized by DFT (GGA-PBE) and a wavelength of 1.5418 Å.
Neutral-atom scattering factors, no anomalous dispersion.

abc: 9.461 5.500 12.049
angles: 90.00 108.50 90.00
Fractional positions:
Ca  0.015  0.250  0.409
Ca  0.147  0.750  0.165
=====

Please echo everything earlier on word for word.

Theoretical powder diffraction line list
Compound: Ti8P3C2
Radiation: a wavelength of 1.5418 Å
Structure: a DFT-relaxed cell (PBE, Alexandria)

Structural model:
```
13
Lattice="6.112 -3.042 0.000 6.112 3.042 0.000 -2.508 0.000 5.433" Properties=species:S:1:pos:R:3 pbc="T T T"
Ti 0.682 0.000 1.662
Ti 4.328 1.490 0.431
Ti 3.243 0.000 2.853
Ti 5.387 1.490 5.002
Ti 4.328 -1.490 0.431
Ti 6.473 0.000 2.580
Ti 5.387 -1.490 5.002
Ti 9.033 0.000 3.770
P 4.858 1.794 2.716
P 6.112 0.000 0.000
P 4.858 -1.794 2.716
C 2.759 0.000 0.722
C 6.957 0.000 4.711
```

The 8 most intense peaks (5 to 70 degrees two-theta), sorted by position:
2θ/deg, I/Imax
32.27, 49.7
32.98, 30.1
33.77, 48.5
34.34, 88.5
42.01, 100.0
42.76, 33.8
46.38, 34.5
52.35, 50.8

~~~~~

Entry 1:
Diffraction record for Ca2Cd3Ga2. The powder diffraction line list is simulated, not measured: it uses a structure optimized by DFT (GGA-PBE) and a wavelength of 1.5418 Å.
Neutral-atom scattering factors, no anomalous dispersion.

abc: 5.901 5.901 7.544
angles: 112.51 112.51 44.72
Fractional positions:
Ca  0.145  0.145  0.276
Ca  0.855  0.855  0.724
Cd  0.385  0.385  0.065
Cd  0.500  0.500  0.500
Cd  0.615  0.615  0.935
Ga  0.150  0.150  0.702
Ga  0.850  0.850  0.298

Main lines, by angle (10 to 90 degrees two-theta):
17.16 deg, I = 57
21.72 deg, I = 33
31.71 deg, I = 72
35.07 deg, I = 44
35.75 deg, I = 26
36.93 deg, I = 100
40.16 deg, I = 65
41.80 deg, I = 25



Entry 2:
Diffraction record for Ca3Cd3Ga8. The powder diffraction line list is simulated, not measured: it uses a structure optimized by DFT (GGA-PBE) and a wavelength of 1.5418 Å.
Neutral-atom scattering factors, no anomalous dispersion.

abc: 8.682 8.682 8.682
angles: 150.42 110.13 77.66
Fractional positions:
Ca  0.000  0.000  0.000
Ca  0.300  0.300  0.000
Ca  0.700  0.700  0.000
Cd  0.301  0.500  0.801
Cd  0.500  0.000  0.500
Cd  0.699  0.500  0.199
Ga  0.032  0.660  0.372
Ga  0.121  0.846  0.275
Ga  0.288  0.660  0.628
Ga  0.429  0.154  0.275
Ga  0.571  0.846  0.725
Ga  0.712  0.340  0.372
Ga  0.879  0.154  0.725
Ga  0.968  0.340  0.628

Main lines, by angle (10 to 90 degrees two-theta):
21.64 deg, I = 17
33.59 deg, I = 100
36.36 deg, I = 36
39.99 deg, I = 29
40.70 deg, I = 33
43.33 deg, I = 22
46.12 deg, I = 16
58.38 deg, I = 18



Entry 3:
Diffraction record for Ca6CdGa. The powder diffraction line list is simulated, not measured: it uses a structure optimized by DFT (GGA-PBE) and a wavelength of 1.5418 Å.
Neutral-atom scattering factors, no anomalous dispersion.

abc: 10.111 10.111 10.111
angles: 149.00 149.00 44.41
Fractional positions:
Ca  0.096  0.596  0.500
Ca  0.250  0.250  0.000
Ca  0.404  0.904  0.500
Ca  0.596  0.096  0.500
Ca  0.750  0.750  0.000
Ca  0.904  0.404  0.500
Cd  0.000  0.000  0.000
Ga  0.500  0.500  0.000

Main lines, by angle (10 to 90 degrees two-theta):
30.19 deg, I = 100
33.15 deg, I = 47
37.20 deg, I = 22
38.47 deg, I = 14
45.45 deg, I = 12
47.59 deg, I = 16
51.67 deg, I = 14
57.40 deg, I = 29



Entry 4:
Diffraction record for Ca2Cd3Ga. The powder diffraction line list is simulated, not measured: it uses a structure optimized by DFT (GGA-PBE) and a wavelength of 1.5418 Å.
Neutral-atom scattering factors, no anomalous dispersion.

abc: 9.201 9.201 9.201
angles: 156.05 149.18 39.41
Fractional positions:
Ca  0.000  0.000  0.000
Ca  0.768  0.268  0.500
Cd  0.177  0.677  0.500
Cd  0.340  0.840  0.500
Cd  0.598  0.598  0.000
Ga  0.445  0.445  0.000

Main lines, by angle (10 to 90 degrees two-theta):
18.86 deg, I = 53
23.86 deg, I = 56
31.47 deg, I = 100
31.65 deg, I = 43
34.97 deg, I = 36
36.76 deg, I = 43
40.87 deg, I = 36
43.43 deg, I = 45



Entry 5:
Diffraction record for Ca6Cd3Ga. The powder diffraction line list is simulated, not measured: it uses a structure optimized by DFT (GGA-PBE) and a wavelength of 1.5418 Å.
Neutral-atom scattering factors, no anomalous dispersion.

abc: 9.461 5.500 12.049
angles: 90.00 108.50 90.00
Fractional positions:
Ca  0.015  0.250  0.409
Ca  0.147  0.750  0.165